**Job:**
Duplicate all of the entries underneath word for word.

**Input:**
/*
1.
# C5H12FeN2O2

A molecular structure, C5H12FeN2O2 at a distorted geometry (ωB97M-V with the def2-TZVPD basis set, the Open Molecules 2025 dataset).

```
! wB97M-V def2-TZVPD RIJCOSX def2/J DEFGRID3
* xyz 0 5
Fe -0.5276 -1.3668 -1.1268
O 2.0325 -1.7800 0.0825
O -2.1358 1.2838 -0.4428
N -0.9207 0.4979 -0.4170
N 1.0962 -0.9205 -0.0900
C -1.6560 -2.6899 -0.3047
C 2.4418 0.7767 1.1233
C -0.1894 2.4804 0.8195
C 1.2018 0.3355 0.4476
C 0.0298 1.1155 0.2721
H -2.7951 0.6819 -0.8432
H -0.7326 -1.2072 -2.9046
H 0.1414 2.5218 1.8633
H 0.4127 3.2240 0.2857
H -1.1005 -3.5938 -0.6585
H 3.2998 0.7797 0.4440
H -1.6874 -2.6232 0.7946
H -1.2418 2.7553 0.7522
H 2.3363 1.7891 1.5157
H -0.0323 -1.5610 -2.8019
H 2.6802 0.1136 1.9600
H -2.6531 -2.6128 -0.7710
*
```

electronic energy = -1721.19439 a.u.
LUMO (spin up / spin down) = 0.15 / -0.53 eV
maximum force = 2.99 eV/Å
highest occupied orbital energy (spin up / spin down) = -7.878 / -7.658 eV
ΔE to the lowest compared entry with this formula, charge and spin = 0.0 kJ/mol

2.
# C5H12IO3P2

2 unconnected molecules or ions with the total composition C5H12IO3P2 at a distorted geometry (ωB97M-V with the def2-TZVPD basis set, the Open Molecules 2025 dataset).

```
! wB97M-V def2-TZVPD RIJCOSX def2/J DEFGRID3
* xyz 1 1
I -0.8990 -2.2312 -1.4455
P 1.8133 0.1267 0.9582
P -0.2847 0.8249 0.8363
O 1.9717 -1.4931 0.5394
O 0.8514 0.1141 4.5878
O 2.7977 0.9693 -0.1724
C -0.2698 -0.1717 -1.8918
C -0.9955 0.8954 -0.9287
C -1.9788 -1.2604 2.2705
C -0.6435 0.0931 -3.4336
C -1.3160 -0.2948 1.9019
H -2.0921 0.6033 -0.9300
H 2.3603 1.8547 -0.2269
H -2.4796 -2.2435 2.5070
H -0.8037 1.9071 -1.4043
H -0.3082 2.1296 1.4341
H 0.8670 -0.0839 -1.8380
H -0.1471 1.0382 -3.8301
H -1.7731 0.1073 -3.5802
H 2.5580 -1.5641 -0.2494
H 0.6075 -0.5445 5.2500
H 0.2935 -0.0996 3.8317
H -0.2722 -0.8076 -4.0270
*
```

electronic energy = -1403.47006 a.u.
LUMO = -4.49 eV
maximum force = 4.43 eV/Å
highest occupied orbital energy = -12.909 eV

3.
# C5H12N

A gas-phase ion, C5H12N (charge +1) at a distorted geometry (ωB97M-V with the def2-TZVPD basis set, the Open Molecules 2025 dataset).

```
! wB97M-V def2-TZVPD RIJCOSX def2/J DEFGRID3
* xyz 1 1
N 1.6788 -0.4913 0.6342
C 1.4520 0.3528 -0.6357
C -1.1770 0.7691 -0.2734
C 0.2749 1.4522 -0.4296
C -1.1100 -0.7126 -0.2396
C -1.6101 -1.3861 0.7764
H -0.7511 -1.3059 -1.0782
H 0.2542 2.1574 -1.3587
H 1.0387 -0.3276 -1.3903
H 2.6971 -0.4005 1.0050
H -1.8274 -2.4588 0.6739
H 2.4033 0.7948 -0.8080
H -2.0959 -0.8180 1.6131
H -1.7145 1.1497 -1.1991
H -1.7620 1.0833 0.5791
H 1.3411 -1.4867 0.6159
H 0.6250 2.1549 0.3909
H 1.0617 0.0433 1.3280
*
```

electronic energy = -252.15608 a.u.
LUMO = -3.58 eV
maximum force = 2.61 eV/Å
highest occupied orbital energy = -13.939 eV
ΔE to the lowest compared entry with this formula, charge and spin = 197.0 kJ/mol
SMILES = C=CCCC[NH3+]


Entry 1:
{
  "formula": "C19H43P3S2Y",
  "method": "ωB97M-V with the def2-TZVPD basis set",
  "elements": ["C", "Y", "H", "H", "H", "C", "H", "H", "C", "H", "H", "C", "H", "H", "S", "H", "H", "H", "C", "C", "C", "H", "P", "H", "H", "H", "C", "H", "C", "H", "H", "H", "H", "H", "H", "C", "H", "H", "C", "H", "H", "C", "H", "H", "H", "H", "C", "H", "S", "H", "H", "C", "H", "P", "C", "H", "H", "H", "H", "C", "P", "H", "C", "C", "H", "H", "H", "C"],
*/

**Response:**
1.
# C5H12FeN2O2

A molecular structure, C5H12FeN2O2 at a distorted geometry (ωB97M-V with the def2-TZVPD basis set, the Open Molecules 2025 dataset).

```
! wB97M-V def2-TZVPD RIJCOSX def2/J DEFGRID3
* xyz 0 5
Fe -0.5276 -1.3668 -1.1268
O 2.0325 -1.7800 0.0825
O -2.1358 1.2838 -0.4428
N -0.9207 0.4979 -0.4170
N 1.0962 -0.9205 -0.0900
C -1.6560 -2.6899 -0.3047
C 2.4418 0.7767 1.1233
C -0.1894 2.4804 0.8195
C 1.2018 0.3355 0.4476
C 0.0298 1.1155 0.2721
H -2.7951 0.6819 -0.8432
H -0.7326 -1.2072 -2.9046
H 0.1414 2.5218 1.8633
H 0.4127 3.2240 0.2857
H -1.1005 -3.5938 -0.6585
H 3.2998 0.7797 0.4440
H -1.6874 -2.6232 0.7946
H -1.2418 2.7553 0.7522
H 2.3363 1.7891 1.5157
H -0.0323 -1.5610 -2.8019
H 2.6802 0.1136 1.9600
H -2.6531 -2.6128 -0.7710
*
```

electronic energy = -1721.19439 a.u.
LUMO (spin up / spin down) = 0.15 / -0.53 eV
maximum force = 2.99 eV/Å
highest occupied orbital energy (spin up / spin down) = -7.878 / -7.658 eV
ΔE to the lowest compared entry with this formula, charge and spin = 0.0 kJ/mol

2.
# C5H12IO3P2

2 unconnected molecules or ions with the total composition C5H12IO3P2 at a distorted geometry (ωB97M-V with the def2-TZVPD basis set, the Open Molecules 2025 dataset).

```
! wB97M-V def2-TZVPD RIJCOSX def2/J DEFGRID3
* xyz 1 1
I -0.8990 -2.2312 -1.4455
P 1.8133 0.1267 0.9582
P -0.2847 0.8249 0.8363
O 1.9717 -1.4931 0.5394
O 0.8514 0.1141 4.5878
O 2.7977 0.9693 -0.1724
C -0.2698 -0.1717 -1.8918
C -0.9955 0.8954 -0.9287
C -1.9788 -1.2604 2.2705
C -0.6435 0.0931 -3.4336
C -1.3160 -0.2948 1.9019
H -2.0921 0.6033 -0.9300
H 2.3603 1.8547 -0.2269
H -2.4796 -2.2435 2.5070
H -0.8037 1.9071 -1.4043
H -0.3082 2.1296 1.4341
H 0.8670 -0.0839 -1.8380
H -0.1471 1.0382 -3.8301
H -1.7731 0.1073 -3.5802
H 2.5580 -1.5641 -0.2494
H 0.6075 -0.5445 5.2500
H 0.2935 -0.0996 3.8317
H -0.2722 -0.8076 -4.0270
*
```

electronic energy = -1403.47006 a.u.
LUMO = -4.49 eV
maximum force = 4.43 eV/Å
highest occupied orbital energy = -12.909 eV

3.
# C5H12N

A gas-phase ion, C5H12N (charge +1) at a distorted geometry (ωB97M-V with the def2-TZVPD basis set, the Open Molecules 2025 dataset).

```
! wB97M-V def2-TZVPD RIJCOSX def2/J DEFGRID3
* xyz 1 1
N 1.6788 -0.4913 0.6342
C 1.4520 0.3528 -0.6357
C -1.1770 0.7691 -0.2734
C 0.2749 1.4522 -0.4296
C -1.1100 -0.7126 -0.2396
C -1.6101 -1.3861 0.7764
H -0.7511 -1.3059 -1.0782
H 0.2542 2.1574 -1.3587
H 1.0387 -0.3276 -1.3903
H 2.6971 -0.4005 1.0050
H -1.8274 -2.4588 0.6739
H 2.4033 0.7948 -0.8080
H -2.0959 -0.8180 1.6131
H -1.7145 1.1497 -1.1991
H -1.7620 1.0833 0.5791
H 1.3411 -1.4867 0.6159
H 0.6250 2.1549 0.3909
H 1.0617 0.0433 1.3280
*
```

electronic energy = -252.15608 a.u.
LUMO = -3.58 eV
maximum force = 2.61 eV/Å
highest occupied orbital energy = -13.939 eV
ΔE to the lowest compared entry with this formula, charge and spin = 197.0 kJ/mol
SMILES = C=CCCC[NH3+]


Entry 1:
{
  "formula": "C19H43P3S2Y",
  "method": "ωB97M-V with the def2-TZVPD basis set",
  "elements": ["C", "Y", "H", "H", "H", "C", "H", "H", "C", "H", "H", "C", "H", "H", "S", "H", "H", "H", "C", "C", "C", "H", "P", "H", "H", "H", "C", "H", "C", "H", "H", "H", "H", "H", "H", "C", "H", "H", "C", "H", "H", "C", "H", "H", "H", "H", "C", "H", "S", "H", "H", "C", "H", "P", "C", "H", "H", "H", "H", "C", "P", "H", "C", "C", "H", "H", "H", "C"],